_To do_
Next, restate everything below with every line break kept.

_Material_
____________
(1)
Entry from Materials Project: crystalline ZrZn2 at its relaxed geometry (GGA-PBE).

As for the formation energy from the elements: -303 meV per atom. As for the volume: 17.0 A^3/atom. The value obtained for the raw total energy is -3.992 eV per atom.

The space group is Fd-3m (No. 227, origin choice 2) and the conventional cell measures 7.417, 7.417 and 7.417 Å, with angles of 90.00, 90.00 and 90.00 degrees. Symmetry generates all atoms from Zr at (0.125, 0.125, 0.125) and Zn at (0.000, 0.000, 0.500).



(2)
Entry from Materials Project: crystalline Zr3Zn2 at its relaxed geometry (GGA-PBE).

As for the formation energy from the elements: -190 meV per atom. As for the volume: 19.9 A^3/atom. The value obtained for the raw total energy is -5.822 eV per atom.

The space group is P4_2/mnm (No. 136) and the conventional cell measures 7.683, 7.683 and 6.734 Å, with angles of 90.00, 90.00 and 90.00 degrees. Symmetry generates all atoms from Zr at (0.000, 0.500, 0.250), Zr at (0.156, 0.156, 0.000), Zr at (0.201, 0.201, 0.500) and Zn at (0.120, 0.880, 0.298).



(3)
Entry from Materials Project: crystalline Zr3Zn at its relaxed geometry (GGA-PBE).

As for the formation energy from the elements: -125 meV per atom. As for the volume: 20.9 A^3/atom. The value obtained for the raw total energy is -6.851 eV per atom.

The space group is I4/mmm (No. 139) and the conventional cell measures 4.301, 4.301 and 9.027 Å, with angles of 90.00, 90.00 and 90.00 degrees. Symmetry generates all atoms from Zr at (0.000, 0.000, 0.000), Zr at (0.000, 0.500, 0.250) and Zn at (0.000, 0.000, 0.500).
____________

_Result_
(1)
Entry from Materials Project: crystalline ZrZn2 at its relaxed geometry (GGA-PBE).

As for the formation energy from the elements: -303 meV per atom. As for the volume: 17.0 A^3/atom. The value obtained for the raw total energy is -3.992 eV per atom.

The space group is Fd-3m (No. 227, origin choice 2) and the conventional cell measures 7.417, 7.417 and 7.417 Å, with angles of 90.00, 90.00 and 90.00 degrees. Symmetry generates all atoms from Zr at (0.125, 0.125, 0.125) and Zn at (0.000, 0.000, 0.500).



(2)
Entry from Materials Project: crystalline Zr3Zn2 at its relaxed geometry (GGA-PBE).

As for the formation energy from the elements: -190 meV per atom. As for the volume: 19.9 A^3/atom. The value obtained for the raw total energy is -5.822 eV per atom.

The space group is P4_2/mnm (No. 136) and the conventional cell measures 7.683, 7.683 and 6.734 Å, with angles of 90.00, 90.00 and 90.00 degrees. Symmetry generates all atoms from Zr at (0.000, 0.500, 0.250), Zr at (0.156, 0.156, 0.000), Zr at (0.201, 0.201, 0.500) and Zn at (0.120, 0.880, 0.298).



(3)
Entry from Materials Project: crystalline Zr3Zn at its relaxed geometry (GGA-PBE).

As for the formation energy from the elements: -125 meV per atom. As for the volume: 20.9 A^3/atom. The value obtained for the raw total energy is -6.851 eV per atom.

The space group is I4/mmm (No. 139) and the conventional cell measures 4.301, 4.301 and 9.027 Å, with angles of 90.00, 90.00 and 90.00 degrees. Symmetry generates all atoms from Zr at (0.000, 0.000, 0.000), Zr at (0.000, 0.500, 0.250) and Zn at (0.000, 0.000, 0.500).